
Evicted?! Nanu-nanu bitch!

An adult in a room of children, who insists that he is in a room of adults.

I actually super hate that Justin Beiber song. I get what he’s trying to say but they whole song comes across as “Woah! Whats with all this self esteem going on here? Why aren’t you paying constant never ending attention to ME ME ME ME ME. Love me, not yourself.”

I was 13-14 in the mid-70s, and I got a lot of attention from grown men. I was thrilled by it. Boys my age either ignored me, barked at me, or called me names. Adult men talked to me like I was a person, admired me, complemented me. At the time, it was bliss, and I felt it made me special. And thanks mainly to a lack

-- Unrelated to this entry: data records --
1.
Computed, not measured: the molecule C21H12B3F9O3, with wB97M-V/def2-TZVPD.

Geometry as ORCA input:
```
! RIJCOSX wB97M-V def2-TZVPD def2/J DEFGRID3
* xyz 0 1
F -2.140 0.424 5.445
C -1.597 -0.726 5.884
F -0.964 -0.516 7.066
F -2.557 -1.617 6.044
C -0.612 -1.203 4.791
C 0.472 -1.991 5.184
C 1.381 -2.412 4.229
C 1.263 -1.976 2.918
C 0.216 -1.134 2.574
B 0.110 -0.581 1.093
O 1.248 -0.302 0.359
B 1.143 0.181 -0.967
C 2.456 0.269 -1.768
C 2.479 0.672 -3.082
C 3.675 0.815 -3.732
C 4.840 0.550 -3.052
C 4.822 0.178 -1.727
C 6.137 -0.072 -1.057
F 6.185 0.564 0.152
F 7.145 0.337 -1.855
F 6.233 -1.426 -0.888
C 3.620 0.003 -1.081
O -0.112 0.415 -1.543
B -1.226 0.044 -0.804
C -2.684 0.373 -1.309
C -3.728 -0.385 -0.825
C -5.015 -0.207 -1.317
C -5.282 0.714 -2.287
C -4.219 1.519 -2.709
C -4.522 2.676 -3.648
F -5.664 3.272 -3.255
F -3.558 3.574 -3.597
F -4.692 2.173 -4.889
C -2.940 1.320 -2.273
O -1.138 -0.529 0.476
C -0.725 -0.754 3.503
H 0.661 -2.132 6.241
H 2.137 -3.135 4.498
H 1.938 -2.352 2.167
H 1.530 0.870 -3.590
H 3.728 1.176 -4.735
H 5.760 0.762 -3.547
H 3.585 -0.247 -0.039
H -3.513 -1.139 -0.088
H -5.851 -0.786 -0.916
H -6.282 0.894 -2.648
H -2.166 2.004 -2.614
H -1.577 -0.160 3.218
*
```

Output
energy above the lowest of the compared OMol25 structures with the same formula, charge and spin: 0.000 eV
E_LUMO: 0.002 Eh
SMILES: FC(F)(F)c1cccc(B2OB(c3cccc(C(F)(F)F)c3)OB(c3cccc(C(F)(F)F)c3)O2)c1
DFT total energy: -54611.06258 eV
highest occupied orbital energy: -10.0 eV
frontier orbital gap: 10.0 eV

Here are the natural (NBO) charges for atoms 1 to 2, given in e:
1 F -0.325
2 C 0.976

2.
Computed, not measured: a structure of composition C15H31N2O2OsPSi, with wB97M-V/def2-TZVPD.

Geometry as ORCA input:
```
! RIJCOSX wB97M-V def2-TZVPD def2/J DEFGRID3
* xyz 0 5
Os 0.553 0.136 -0.089
Si 2.745 0.151 -1.065
P -0.254 0.482 -2.321
N -0.203 -1.472 -0.208
H 1.968 -0.481 0.391
C -2.057 0.556 -2.798
H -2.205 0.538 -3.898
H -2.517 1.475 -2.402
H -2.569 -0.325 -2.379
C 0.295 1.976 -3.271
H -0.061 1.960 -4.315
H 1.389 2.039 -3.302
H -0.109 2.881 -2.793
C 0.170 -0.874 -3.553
H -0.048 -0.564 -4.591
H -0.429 -1.772 -3.328
H 1.240 -1.127 -3.495
C 3.376 1.797 -0.486
H 2.943 1.990 0.505
H 3.101 2.627 -1.140
H 4.456 1.813 -0.381
H 3.761 -0.873 -0.987
H 2.669 0.168 -2.541
C -0.115 -2.791 -0.365
C -1.216 -4.984 -0.286
C -1.263 -3.621 -0.101
C 1.071 -3.459 -0.835
C 1.105 -4.835 -1.028
C -0.043 -5.594 -0.756
H -2.096 -5.606 -0.082
H -2.164 -3.102 0.233
H 1.942 -2.833 -1.042
H 2.022 -5.303 -1.398
H -0.012 -6.666 -0.933
C -1.475 3.143 0.622
O -1.134 1.985 0.242
C -2.324 3.346 1.837
H -2.409 4.415 2.083
H -1.976 2.753 2.708
H -3.322 2.977 1.577
C -0.851 4.327 -0.032
H -1.533 4.606 -0.837
H 0.131 4.131 -0.480
H -0.893 5.155 0.680
C 1.172 -0.616 4.297
C 0.296 -0.424 3.083
N -1.002 -0.790 3.081
O 0.767 0.140 2.035
H 0.645 -0.726 5.249
H 1.826 0.253 4.311
H 1.847 -1.461 4.132
H -1.523 -0.617 2.213
H -1.479 -1.256 3.849
*
```

Output
E_LUMO (spin up / spin down): 0.009 / 0.007 Eh

No, no... you misunderstand... her kids are white.

There are versions of this speckled throughout the endurance world, even without the excuse of raising money for charity. Sometimes it’s running, sometimes it’s on a bike. Sometimes it’s donuts, sometimes it’s beer. Endurance athletes like pain and pushing their limits, and sometimes things get... weird.

Of course most men can handle rejection. I would guess that the percentage who kill after being rejected is miniscule.

I’m guessing he double majored in bigotry and entitlement with a minor in MRA studies, followed by a masters in conspiratorial thinking. He’s A.B.D in a Ph.D in batshit crazy.

oh please please please yes please please

This is the beginning of the road that leads to a Trump third party run. Mark my words, if he doesn't get the nomination, he'll claim that it was all a set up and run as an independent.

What comes next are calculated molecules, not part of the page =
********
[1]
ORCA calculation (ωB97M-V with the def2-TZVPD basis set) on 2 unconnected molecules or ions with the total composition C32H29BF6O4S.

The value obtained for the HOMO-LUMO gap is 4.7 eV. The total energy comes out at -69656.5856 eV.

CARTESIAN COORDINATES (ANGSTROEM)
C 2.80 3.29 -3.96
C 2.73 2.52 -2.69
C 3.02 3.01 -1.42
C 2.76 2.10 -0.37
C 2.26 0.86 -0.79
B 6.43 -1.77 0.06
C 1.23 0.12 -0.13
C 0.54 -0.92 -0.80
C -0.63 -1.42 -0.26
C -1.34 -2.49 -1.04
F -2.42 -3.01 -0.39
F -1.78 -2.02 -2.25
F -0.49 -3.54 -1.30
C -1.13 -0.94 0.95
C -0.40 0.02 1.65
C -0.90 0.61 2.94
F 0.12 0.62 3.87
F -1.30 1.91 2.78
F -1.94 -0.07 3.49
C 0.80 0.50 1.17
O 6.27 -1.44 -1.27
C 6.40 -0.01 -1.30
C 6.81 0.43 0.11
O 6.97 -0.80 0.89
S 2.32 0.84 -2.58
H 2.54 4.34 -3.78
H 3.81 3.28 -4.38
H 2.11 2.89 -4.70
H 3.37 4.03 -1.28
H 2.83 2.37 0.68
H 0.91 -1.30 -1.76
H -2.07 -1.29 1.33
H 1.41 1.19 1.76
H 7.18 0.23 -2.05
H 5.44 0.45 -1.60
H 7.77 0.97 0.11
H 6.05 1.05 0.60
C 9.38 -4.51 1.51
O 8.37 -4.65 0.47
C 7.10 -4.24 0.70
C 6.16 -4.38 -0.37
C 5.02 -3.61 -0.36
C 4.93 -2.52 0.63
C 3.68 -1.62 0.62
C 2.94 -1.62 1.83
C 1.83 -2.38 2.20
C 1.30 -2.44 3.54
C -0.06 -2.80 3.77
C -0.63 -2.73 5.02
C 0.16 -2.38 6.15
O -0.49 -2.24 7.35
C 0.28 -1.98 8.55
C 1.54 -2.13 5.97
C 2.08 -2.16 4.70
C 5.51 -2.90 1.93
C 6.66 -3.66 1.93
H 10.26 -4.95 1.05
H 9.57 -3.46 1.76
H 9.10 -5.07 2.41
H 6.40 -5.07 -1.18
H 4.19 -3.81 -1.04
H 3.31 -1.29 -0.34
H 3.40 -1.02 2.63
H 1.33 -2.97 1.43
H -0.69 -3.12 2.94
H -1.69 -2.90 5.21
H -0.49 -1.87 9.32
H 0.94 -2.82 8.79
H 0.86 -1.05 8.45
H 2.16 -1.89 6.84
H 3.14 -1.96 4.56
H 5.03 -2.62 2.87
H 7.28 -3.78 2.82

***

[2]
ORCA calculation (ωB97M-V with the def2-TZVPD basis set) on a molecular structure, C32H29BN10O5PtS.

As for the expectation value of S²: 8.837. Its spin multiplicity is 6. As for the charge: +3. The value obtained for the HOMO-LUMO gap (alpha / beta) is 6.8 / 4.7 eV. The total energy comes out at -73519.2226 eV.

CARTESIAN COORDINATES (ANGSTROEM)
Pt -2.02 0.22 0.73
C 2.53 0.13 0.82
C 1.37 0.75 1.19
N 0.27 -0.13 1.01
N 0.64 -1.21 0.47
C 2.00 -1.06 0.36
B -0.36 -2.50 0.13
N -1.09 -2.02 -1.09
C -1.17 -2.58 -2.32
C -2.12 -1.87 -2.98
C -2.60 -0.88 -2.09
N -1.95 -0.97 -0.94
N -1.25 -2.57 1.37
C -1.67 -3.70 1.92
C -2.69 -3.37 2.79
C -2.85 -1.99 2.67
N -1.92 -1.49 1.84
N 0.54 -3.65 0.07
C 1.34 -4.13 1.11
C 2.20 -5.12 0.60
C 1.86 -5.09 -0.83
N 0.91 -4.23 -1.08
H 3.49 0.52 0.71
H 1.32 1.79 1.50
H 2.65 -1.92 0.02
H -0.47 -3.36 -2.73
H -2.50 -1.95 -3.94
H -3.37 -0.12 -2.19
H -1.25 -4.67 1.75
H -3.24 -4.05 3.39
H -3.65 -1.34 3.11
H 1.13 -3.79 2.09
H 2.84 -5.71 1.17
H 2.24 -5.67 -1.65
O -0.95 1.58 8.55
C -1.85 1.02 7.86
O -2.82 0.40 8.46
C -1.99 1.14 6.38
C -0.97 1.03 5.41
C -1.23 0.95 4.15
C -2.59 1.25 3.65
C -3.62 1.53 4.65
C -3.36 1.32 5.95
N -2.76 1.28 2.28
C -3.47 2.30 1.78
C -3.31 2.65 0.44
C -4.19 3.53 -0.26
C -3.95 3.80 -1.58
C -2.89 3.12 -2.23
C -2.17 2.16 -1.51
N -2.38 1.89 -0.19
H -0.08 1.73 8.14
H 0.05 1.06 5.66
H -0.51 0.87 3.38
H -4.59 1.82 4.28
********
The calculated molecules stop here =

I love how he was practically literally speechless last night and needed to regroup with people to figure out how to maintain his brand image.

== Attached: data records ==
C26H22F8O5 | wB97M-V/def2-TZVPD

Results
**Electronic energy**: -59296.954 eV
**LUMO level**: -0.685 eV
**Frontier orbital gap**: 8.8 eV

CARTESIAN COORDINATES (ANGSTROEM)
C  -1.9063  -0.6162  -0.8554
C  -2.0808  0.7455  -0.2127
F  -3.2117  0.6879  0.5879
C  -0.8846  1.3454  0.5591
C  0.2339  0.4339  1.0227
C  1.4219  0.2701  0.2623
C  1.5895  1.0923  -0.9998
C  1.0411  0.4888  -2.3206
O  1.9858  0.5097  -3.3736
C  2.4552  -0.5553  0.7451
C  3.8289  -0.7097  0.0941
F  4.6865  -1.2095  1.0162
F  4.3610  0.4798  -0.2693
C  3.9087  -1.6989  -1.1261
F  4.2909  -2.9070  -0.6639
F  2.7228  -1.8567  -1.7086
C  4.9869  -1.3117  -2.1675
F  5.0563  -2.2839  -3.0790
F  6.1590  -1.2189  -1.5596
F  4.7249  -0.1773  -2.7814
C  2.3117  -1.2434  1.9452
C  1.1762  -1.0439  2.7047
C  0.1430  -0.2093  2.2712
C  -0.9884  -0.0550  3.2400
O  -2.1467  -0.0214  2.9370
C  -0.5718  -0.0008  4.6742
C  -1.2094  0.8485  5.5731
C  -0.7728  0.8667  6.8964
C  0.2690  0.0301  7.3092
C  0.8912  -0.8316  6.4111
C  0.4717  -0.8390  5.0843
C  1.0992  -1.6892  4.0477
O  1.5314  -2.7856  4.2700
H  -2.8928  -1.0742  -0.8790
H  -1.2625  -1.3049  -0.3150
H  -1.6204  -0.5033  -1.8924
H  -2.3342  1.4518  -1.0007
H  -0.4938  2.1630  -0.0325
H  -1.3229  1.8184  1.4340
H  1.1001  2.0469  -0.8612
H  2.6312  1.3361  -1.1752
H  0.1766  1.0793  -2.6278
H  0.6968  -0.5237  -2.1731
H  2.2050  1.4303  -3.5406
H  3.0745  -1.8892  2.3423
H  -2.0211  1.4748  5.2401
H  -1.2528  1.5314  7.5973
H  0.5835  0.0776  8.3402
H  1.6925  -1.4734  6.7451
O  -1.7964  1.8734  -3.7878
C  -2.7764  1.2953  -4.1637
O  -3.7797  0.9560  -3.3248
C  -4.7697  0.1756  -4.0196
C  -4.5879  0.5255  -5.4912
C  -3.0871  0.8059  -5.5634
H  -4.5791  -0.8801  -3.8161
H  -5.7522  0.4382  -3.6364
H  -4.9284  -0.2609  -6.1613
H  -5.1440  1.4338  -5.7266
H  -2.5070  -0.0998  -5.7461
H  -2.8262  1.5617  -6.2983

Atomic forces in eV per Å
C -0.5 -0.1 0.1
C 0.2 -0.1 -0.6
F -0.1 0.2 0.4
C -0.2 -0.2 0.4
C 0.1 -0.3 0.1
C 0.0 0.3 0.0
C 0.1 -0.2 -0.3
C -0.4 0.7 0.2
O 0.1 -0.3 0.1
C 0.0 -0.1 0.1
C -0.2 -0.3 0.2
F 0.2 0.0 0.0
F -0.1 0.3 -0.1
C 0.5 0.0 0.4
F -0.1 -0.2 0.1
F -0.3 0.2 -0.3
C -0.4 -0.4 -0.1
F 0.0 -0.1 -0.1
F 0.5 0.0 0.2
F -0.1 0.4 -0.3
C -0.5 0.2 -0.1
C -0.1 0.0 -0.2
C 0.5 -0.1 -0.4
C 0.4 0.0 0.3
O -0.6 0.2 -0.3
C 0.3 0.0 0.1
C 0.4 -0.4 0.3
C 0.1 -0.3 -0.4
C -0.3 0.3 -0.3
C -0.3 0.2 0.1
C -0.3 0.5 0.4
C -0.2 0.5 0.0
O 0.5 -0.7 0.2
H -0.1 0.0 0.0
H 0.3 0.1 0.0
H 0.4 -0.1 -0.2
H 0.0 0.1 -0.1
H 0.1 0.0 -0.1
H -0.1 0.1 0.1
H 0.0 0.2 0.1
H 0.1 -0.2 0.1
H -0.2 -0.1 0.0
H 0.2 -0.4 -0.1
H 0.0 0.0 -0.1
H 0.1 -0.1 -0.1
H -0.1 0.1 -0.1
H 0.0 0.1 0.1
H 0.1 -0.1 0.1
H 0.1 -0.1 -0.1
O -0.1 0.0 0.1
C 0.3 -0.1 -0.1
O 0.0 0.0 0.0
C -0.1 -0.1 -0.1
C 0.1 0.0 -0.1
C -0.4 0.1 0.0
H 0.0 0.0 0.0
H 0.1 0.0 0.1
H 0.0 0.0 0.0
H 0.0 0.0 0.0
H 0.1 0.0 0.0
H 0.2 0.0 0.0

---

C26H22GeN5OSV | wB97M-V/def2-TZVPD

Results
**Electronic energy**: -129852.427 eV
**Charge**: +1
**Multiplicity**: 4
**LUMO level (alpha / beta)**: -3.437 / -3.488 eV
== So much for the data records ==

“I, uh, as I was writing down [his name], my pen ran out of ink,”

She understood enough to accuse the brown people.

How does anyone think Keke is good in this? She’s overacting and over pronouncing words. She’s terrible in this.

I don’t really mind it so much... except she is clearly lying because cats don’t wear makeup or get piercings. I know this because every time I have tried to do a smoky eye on my cats, they scratch me.

Right? This is like... 1995 all over again.

Worship leaders are usually the best singers in their church (because they’ve had college-level training) and MANY get a big head about it and start to think they’re rock stars.

Big Fish, Small Pond.

Michael Schiavo was treated horribly and got the worst raw deal when the fucking congress intervened to collude with Terry’s parents’ denial and he was straight up demonized in the right wing press. It was monstrous how this whole thing was treated like a political football. I had to stop watching. There was something

Kristen Wiig is funny but she doesn’t get enough credit for her dramatic range.

Nope. Too many of the base will ultimately say in the voting booth “Rubio is not one of our kind” along with immigration issue. Same goes with Carson and lesser extent Cruz since he spews much of what base likes. Angry white men are not going with a non Angry White Man to them ultimately these three fail that test.